== To do ==
Transcribe everything underneath word for word.

== Input ==
____________
Entry 1:
Entry from the Open Molecules 2025 dataset: 2 unconnected molecules or ions with the total composition C25H49BF2N5O7 (the ωB97M-V functional and the def2-TZVPD basis).

Cartesian coordinates (Å):
C 0.18 -0.59 2.58
C -0.93 0.46 2.59
C -0.51 1.90 2.95
C 1.00 2.19 2.92
C 1.30 3.68 3.08
C 0.97 4.49 1.82
C 1.92 5.66 1.54
C 3.35 5.23 1.20
C 3.48 4.87 -0.29
C 4.57 3.86 -0.64
C 4.59 2.56 0.18
C 3.31 1.71 0.11
C 3.24 0.96 -1.21
N 1.90 0.38 -1.50
B 1.81 -1.12 -1.52
O 2.70 -1.71 -2.37
C 0.77 -1.90 -0.64
C 1.42 -2.73 0.49
C 0.91 1.23 -1.71
N 0.96 2.58 -1.60
C -0.23 3.02 -1.91
N -0.57 4.39 -1.82
C -1.24 4.66 -0.58
O -1.33 3.87 0.27
F -1.72 5.88 -0.55
C -1.14 4.91 -3.04
O -1.47 4.25 -3.94
F -1.19 6.22 -3.01
N -1.06 2.04 -2.26
N -0.34 0.89 -2.15
O -0.93 -0.27 -2.51
H -0.26 -1.59 2.48
H 0.76 -0.60 3.50
H 0.85 -0.46 1.72
H -1.72 0.12 3.27
H -1.39 0.48 1.59
H -0.98 2.59 2.23
H -0.90 2.18 3.93
H 1.39 1.87 1.94
H 1.52 1.61 3.69
H 0.68 4.06 3.91
H 2.34 3.83 3.39
H -0.04 4.91 1.92
H 0.95 3.81 0.95
H 1.91 6.33 2.41
H 1.53 6.24 0.70
H 4.01 6.07 1.41
H 3.68 4.40 1.83
H 2.51 4.53 -0.67
H 3.72 5.79 -0.84
H 5.55 4.34 -0.51
H 4.50 3.63 -1.71
H 4.85 2.76 1.22
H 5.41 1.94 -0.22
H 3.36 0.99 0.94
H 2.43 2.33 0.28
H 3.92 0.11 -1.16
H 3.56 1.58 -2.04
H 3.20 -2.47 -2.03
H 0.15 -2.53 -1.29
H 0.09 -1.18 -0.18
H 2.22 -3.38 0.12
H 0.65 -3.39 0.91
H 1.77 -2.09 1.30
H -2.02 2.05 -2.58
H -0.47 -0.58 -3.31
C -4.71 -3.48 -2.50
O -4.36 -4.78 -2.10
C -3.06 -5.17 -2.52
C -2.46 -6.19 -1.59
O -1.98 -5.65 -0.36
C -2.95 -5.27 0.61
C -3.64 -6.43 1.29
O -4.63 -6.99 0.45
C -4.91 -8.34 0.75
H -4.79 -3.40 -3.59
H -5.68 -3.25 -2.06
H -3.98 -2.74 -2.14
H -2.40 -4.29 -2.57
H -3.13 -5.61 -3.52
H -1.56 -6.58 -2.08
H -3.14 -7.02 -1.42
H -3.68 -4.57 0.20
H -2.37 -4.75 1.38
H -4.12 -6.05 2.21
H -2.90 -7.18 1.57
H -4.00 -8.95 0.70
H -5.61 -8.70 0.00
H -5.36 -8.44 1.74

- 2S+1 = 1
- energy (Eh) = -2006.76250
- charge = +1
- LUMO (eV) = -3.25
- orbital gap (eV) = 7.7181

The molecule's Mulliken atomic charges, reported in e, are given here: -0.51 -0.66 -0.35 0.39 -1.21 1.03 -1.77 -0.31 -0.08 -0.99 -1.58 2.42 -1.23 0.20 0.26 -0.56 0.40 -1.28 -0.06 -0.08 -0.11 0.41 0.52 -0.32 -0.27 0.49 -0.39 -0.19 -0.29 0.37 -0.36 0.45 0.46 -0.52 0.35 0.28 -0.06 0.39 -0.64 0.58 0.48 0.44 0.90 -1.13 0.41 0.35 0.46 0.16 -0.28 0.56 0.41 0.40 0.48 0.42 0.43 -1.79 0.41 0.40 0.34 0.15 0.11 0.37 0.22 0.37 0.25 0.44 -0.68 -0.27 -0.33 -0.40 -0.43 -0.28 -0.65 -0.26 -0.79 0.34 0.26 0.21 0.10 0.41 0.41 0.18 0.21 0.32 0.41 0.36 0.34 0.24 0.33

Entry 2:
Entry from the Open Molecules 2025 dataset: 12 unconnected molecules or ions with the total composition C25H49Cl4F18N4O13S (the ωB97M-V functional and the def2-TZVPD basis).

Cartesian coordinates (Å):
N 4.23 7.60 3.30
H 4.27 6.71 2.81
H 4.92 8.16 2.83
H 4.38 7.37 4.27
H 3.36 8.10 3.17
N 6.02 3.97 4.40
H 6.63 4.61 4.88
H 6.46 3.66 3.54
H 5.12 4.38 4.20
H 5.98 3.04 4.79
N 2.41 3.84 3.88
H 1.47 3.78 3.51
H 2.72 2.92 4.13
H 2.39 4.40 4.72
H 3.09 4.19 3.21
N 6.81 2.99 7.96
H 6.72 2.37 7.17
H 6.63 2.52 8.84
H 6.04 3.63 7.81
H 7.68 3.49 7.93
C 3.46 6.97 8.20
F 2.94 6.22 9.14
F 2.47 7.84 7.85
F 4.48 7.70 8.70
S 4.04 5.66 6.79
O 4.57 6.49 5.75
O 4.96 4.70 7.44
O 2.80 5.03 6.29
C -0.04 9.91 6.46
C -1.09 9.98 7.61
O -2.24 10.69 7.16
C -2.19 12.05 7.01
O -1.15 12.68 7.06
C -3.57 12.63 6.73
F -3.60 13.04 5.43
F -4.59 11.71 6.85
F -3.81 13.71 7.55
H 0.33 10.86 6.09
H -0.40 9.36 5.59
H 0.81 9.37 6.89
H -0.60 10.38 8.51
H -1.44 8.99 7.90
C 7.74 7.19 8.60
C 7.51 7.53 10.11
O 6.38 6.87 10.68
C 6.46 5.52 10.96
O 7.34 4.75 10.60
C 5.16 5.00 11.52
F 4.18 5.90 11.59
F 4.70 3.99 10.74
F 5.40 4.56 12.76
H 6.90 7.55 8.00
H 8.09 6.19 8.33
H 8.59 7.75 8.20
H 7.27 8.57 10.33
H 8.40 7.21 10.65
C 6.04 10.43 11.77
C 4.60 10.05 11.43
O 4.07 11.08 10.59
C 2.78 11.11 10.34
O 1.94 10.40 10.95
C 2.38 12.11 9.25
F 2.28 11.36 8.14
F 1.18 12.67 9.43
F 3.36 12.98 9.05
H 6.08 11.31 12.41
H 6.54 10.82 10.88
H 6.46 9.51 12.17
H 4.00 10.01 12.34
H 4.60 9.14 10.83
C -1.50 5.31 6.11
C -0.42 6.25 5.49
____________

== Solution ==
Entry 1:
Entry from the Open Molecules 2025 dataset: 2 unconnected molecules or ions with the total composition C25H49BF2N5O7 (the ωB97M-V functional and the def2-TZVPD basis).

Cartesian coordinates (Å):
C 0.18 -0.59 2.58
C -0.93 0.46 2.59
C -0.51 1.90 2.95
C 1.00 2.19 2.92
C 1.30 3.68 3.08
C 0.97 4.49 1.82
C 1.92 5.66 1.54
C 3.35 5.23 1.20
C 3.48 4.87 -0.29
C 4.57 3.86 -0.64
C 4.59 2.56 0.18
C 3.31 1.71 0.11
C 3.24 0.96 -1.21
N 1.90 0.38 -1.50
B 1.81 -1.12 -1.52
O 2.70 -1.71 -2.37
C 0.77 -1.90 -0.64
C 1.42 -2.73 0.49
C 0.91 1.23 -1.71
N 0.96 2.58 -1.60
C -0.23 3.02 -1.91
N -0.57 4.39 -1.82
C -1.24 4.66 -0.58
O -1.33 3.87 0.27
F -1.72 5.88 -0.55
C -1.14 4.91 -3.04
O -1.47 4.25 -3.94
F -1.19 6.22 -3.01
N -1.06 2.04 -2.26
N -0.34 0.89 -2.15
O -0.93 -0.27 -2.51
H -0.26 -1.59 2.48
H 0.76 -0.60 3.50
H 0.85 -0.46 1.72
H -1.72 0.12 3.27
H -1.39 0.48 1.59
H -0.98 2.59 2.23
H -0.90 2.18 3.93
H 1.39 1.87 1.94
H 1.52 1.61 3.69
H 0.68 4.06 3.91
H 2.34 3.83 3.39
H -0.04 4.91 1.92
H 0.95 3.81 0.95
H 1.91 6.33 2.41
H 1.53 6.24 0.70
H 4.01 6.07 1.41
H 3.68 4.40 1.83
H 2.51 4.53 -0.67
H 3.72 5.79 -0.84
H 5.55 4.34 -0.51
H 4.50 3.63 -1.71
H 4.85 2.76 1.22
H 5.41 1.94 -0.22
H 3.36 0.99 0.94
H 2.43 2.33 0.28
H 3.92 0.11 -1.16
H 3.56 1.58 -2.04
H 3.20 -2.47 -2.03
H 0.15 -2.53 -1.29
H 0.09 -1.18 -0.18
H 2.22 -3.38 0.12
H 0.65 -3.39 0.91
H 1.77 -2.09 1.30
H -2.02 2.05 -2.58
H -0.47 -0.58 -3.31
C -4.71 -3.48 -2.50
O -4.36 -4.78 -2.10
C -3.06 -5.17 -2.52
C -2.46 -6.19 -1.59
O -1.98 -5.65 -0.36
C -2.95 -5.27 0.61
C -3.64 -6.43 1.29
O -4.63 -6.99 0.45
C -4.91 -8.34 0.75
H -4.79 -3.40 -3.59
H -5.68 -3.25 -2.06
H -3.98 -2.74 -2.14
H -2.40 -4.29 -2.57
H -3.13 -5.61 -3.52
H -1.56 -6.58 -2.08
H -3.14 -7.02 -1.42
H -3.68 -4.57 0.20
H -2.37 -4.75 1.38
H -4.12 -6.05 2.21
H -2.90 -7.18 1.57
H -4.00 -8.95 0.70
H -5.61 -8.70 0.00
H -5.36 -8.44 1.74

- 2S+1 = 1
- energy (Eh) = -2006.76250
- charge = +1
- LUMO (eV) = -3.25
- orbital gap (eV) = 7.7181

The molecule's Mulliken atomic charges, reported in e, are given here: -0.51 -0.66 -0.35 0.39 -1.21 1.03 -1.77 -0.31 -0.08 -0.99 -1.58 2.42 -1.23 0.20 0.26 -0.56 0.40 -1.28 -0.06 -0.08 -0.11 0.41 0.52 -0.32 -0.27 0.49 -0.39 -0.19 -0.29 0.37 -0.36 0.45 0.46 -0.52 0.35 0.28 -0.06 0.39 -0.64 0.58 0.48 0.44 0.90 -1.13 0.41 0.35 0.46 0.16 -0.28 0.56 0.41 0.40 0.48 0.42 0.43 -1.79 0.41 0.40 0.34 0.15 0.11 0.37 0.22 0.37 0.25 0.44 -0.68 -0.27 -0.33 -0.40 -0.43 -0.28 -0.65 -0.26 -0.79 0.34 0.26 0.21 0.10 0.41 0.41 0.18 0.21 0.32 0.41 0.36 0.34 0.24 0.33

Entry 2:
Entry from the Open Molecules 2025 dataset: 12 unconnected molecules or ions with the total composition C25H49Cl4F18N4O13S (the ωB97M-V functional and the def2-TZVPD basis).

Cartesian coordinates (Å):
N 4.23 7.60 3.30
H 4.27 6.71 2.81
H 4.92 8.16 2.83
H 4.38 7.37 4.27
H 3.36 8.10 3.17
N 6.02 3.97 4.40
H 6.63 4.61 4.88
H 6.46 3.66 3.54
H 5.12 4.38 4.20
H 5.98 3.04 4.79
N 2.41 3.84 3.88
H 1.47 3.78 3.51
H 2.72 2.92 4.13
H 2.39 4.40 4.72
H 3.09 4.19 3.21
N 6.81 2.99 7.96
H 6.72 2.37 7.17
H 6.63 2.52 8.84
H 6.04 3.63 7.81
H 7.68 3.49 7.93
C 3.46 6.97 8.20
F 2.94 6.22 9.14
F 2.47 7.84 7.85
F 4.48 7.70 8.70
S 4.04 5.66 6.79
O 4.57 6.49 5.75
O 4.96 4.70 7.44
O 2.80 5.03 6.29
C -0.04 9.91 6.46
C -1.09 9.98 7.61
O -2.24 10.69 7.16
C -2.19 12.05 7.01
O -1.15 12.68 7.06
C -3.57 12.63 6.73
F -3.60 13.04 5.43
F -4.59 11.71 6.85
F -3.81 13.71 7.55
H 0.33 10.86 6.09
H -0.40 9.36 5.59
H 0.81 9.37 6.89
H -0.60 10.38 8.51
H -1.44 8.99 7.90
C 7.74 7.19 8.60
C 7.51 7.53 10.11
O 6.38 6.87 10.68
C 6.46 5.52 10.96
O 7.34 4.75 10.60
C 5.16 5.00 11.52
F 4.18 5.90 11.59
F 4.70 3.99 10.74
F 5.40 4.56 12.76
H 6.90 7.55 8.00
H 8.09 6.19 8.33
H 8.59 7.75 8.20
H 7.27 8.57 10.33
H 8.40 7.21 10.65
C 6.04 10.43 11.77
C 4.60 10.05 11.43
O 4.07 11.08 10.59
C 2.78 11.11 10.34
O 1.94 10.40 10.95
C 2.38 12.11 9.25
F 2.28 11.36 8.14
F 1.18 12.67 9.43
F 3.36 12.98 9.05
H 6.08 11.31 12.41
H 6.54 10.82 10.88
H 6.46 9.51 12.17
H 4.00 10.01 12.34
H 4.60 9.14 10.83
C -1.50 5.31 6.11
C -0.42 6.25 5.49